International Mobility Program PROF / PAS (Administrative and support staff)

What does the international mobility program consist of?

The International Mobility Program for Faculty/Staff is designed to provide faculty and administrative and service staff with an international experience. This experience provides the opportunity to collaborate with institutions abroad, broaden their professional experience, diversify the academic curriculum, internationalize research projects or share cases of best practices. At the same time, this mobility program offers participants an opportunity for personal enrichment and professional development.

What are the benefits of TEACHER / ADMINISTRATIVE AND SUPPORT STAFF mobility?

For faculty/administrative staff:

  • Internationalization of their curriculum vitae
  • Research opportunities
  • Learn about best practices
  • Compare methodologies and evaluation systems
  • Personal and professional enrichment
  • Improve language skills

For home institutions:

  • International training of faculty/administrative staff
  • Professional development
  • Research opportunity for faculty
  • Diversification of academic curriculum

What types of mobility are there?

International mobility can be a short residency or long residency. It may involve physical mobility or be virtual.

Short Residency Mobility

The duration can be from a minimum of 2 days to a maximum of 5 days, excluding travel days. Mobility may be for teaching/training/research (PROF) or training (PROF/PAS). International mobility expressly excludes attendance at congresses, lectures or conferences as well as presentation of publications. The residency can be carried out until September 30, 2024.

  • The aim of a staff mobility from a higher education institution to a company is to enable participants to learn from the transfer of knowledge or competences and to acquire practical skills.
  • The aim of a staff mobility from a higher education institution to another higher education institution is to enable participants to learn from the experiences and good practices of the partner institution and to improve the skills required for their current job.

Job shadowing: observation period in a company/institution/university (PROF/PAS).

International Week: an opportunity to get in contact with staff and professors from various international universities. It allows you to get to know other work formats, attend specialized conferences, learn best practices, participate in specific workshops, put your theoretical and linguistic knowledge into practice, and, in short, discover new horizons both academically and professionally. Consult the training opions here (PROF/PAS).

Training courses: training offered by a company/institution/university. Courses (PROF/PAS).

Teaching mobility: teaching at a partner institution. Erasmus places (PROF) For teaching activities between higher education institutions in Erasmus program countries, both institutions must have signed an inter-institutional agreement. A minimum of 8 teaching hours will be taught during the stay. If the teaching mobility is requested outside the Erasmus program (UFV funds) it is not necessary to have a previous institutional agreement between both institutions and the minimum number of hours will be established by agreement of both parties.

Long Residency Mobility

• Here the page breaks off for records of molecules:
~~~
Below is a molecular structure, C16H21AuClN6O6S, with properties calculated with wB97M-V/def2-TZVPD.

XYZ file:
```
52
Properties=species:S:1:pos:R:3:forces:R:3:lowdin_spin:R:1
Au -1.241 -0.551 -0.739 0.05 -0.30 -0.63 0.1323
N 3.962 -5.745 -1.619 -0.02 0.12 -0.03 0.0824
C 3.552 -4.482 -1.406 0.02 -0.13 -0.01 0.0534
C 3.885 -3.821 -0.200 0.04 -0.07 0.04 0.0283
C 3.447 -2.550 0.034 0.12 0.02 -0.03 0.0167
C 2.676 -1.899 -0.942 -0.10 -0.08 -0.08 0.0753
C 2.340 -2.537 -2.153 0.08 -0.04 0.11 0.0189
C 2.779 -3.810 -2.382 -0.03 0.00 -0.05 0.0192
S 2.047 -0.338 -0.635 -0.18 0.23 0.14 -0.0131
O 1.626 0.272 -1.860 0.02 0.01 -0.03 0.0040
O 2.829 0.396 0.307 0.00 -0.02 -0.06 0.0118
N 0.594 -0.780 0.105 -0.03 0.22 0.28 0.4105
C 0.490 -1.040 1.473 0.05 -0.04 0.11 0.0002
N 1.561 -1.334 2.210 -0.21 0.02 -0.15 0.0603
C 1.319 -1.562 3.496 -0.06 -0.02 0.07 -0.0060
C 0.043 -1.513 4.043 -0.11 0.01 -0.06 0.0824
C -1.005 -1.207 3.177 0.31 -0.07 0.13 -0.0075
N -0.777 -0.965 1.898 0.07 -0.04 0.06 0.0654
H 4.534 -6.226 -0.948 0.00 -0.01 0.00 0.0016
H 3.750 -6.217 -2.481 0.01 -0.02 0.01 0.0017
H 4.493 -4.334 0.534 -0.01 0.00 -0.01 0.0002
H 3.692 -2.035 0.952 -0.03 0.00 -0.05 -0.0002
H 1.754 -2.007 -2.891 0.00 -0.01 0.03 -0.0001
H 2.540 -4.312 -3.311 0.00 0.00 0.02 -0.0001
H 2.181 -1.799 4.110 -0.02 -0.01 0.00 -0.0014
H -0.133 -1.719 5.090 0.03 0.00 -0.02 0.0042
H -2.039 -1.170 3.499 0.02 0.02 0.04 -0.0016
O -3.496 -1.927 0.310 -0.16 0.25 -0.21 0.0011
Cl -4.169 -0.967 -0.518 -0.22 -0.17 0.40 0.0003
O -5.275 -1.531 -1.198 0.23 0.30 -0.08 0.0013
O -3.165 -0.493 -1.581 0.14 -0.17 0.26 0.0101
O -4.524 0.206 0.239 0.09 -0.14 -0.15 0.0015
C -2.581 2.545 -1.146 0.04 -0.23 -0.03 0.0626
C -2.782 4.136 -0.946 0.05 0.13 0.06 0.0656
N -1.660 4.627 -0.199 0.04 -0.20 -0.03 0.2072
C -0.430 4.413 -0.904 -0.09 0.10 0.06 0.0632
C -0.213 2.817 -1.044 0.09 -0.25 -0.03 0.0603
N -1.367 2.194 -0.463 -0.14 0.60 0.03 0.3011
C -1.465 2.452 0.945 -0.02 -0.23 -0.03 0.0595
C -1.616 4.053 1.114 -0.02 0.13 -0.06 0.0619
H -2.496 2.299 -2.202 0.02 0.07 -0.01 0.0054
H -3.420 1.998 -0.720 -0.01 0.05 0.03 0.0059
H -3.704 4.322 -0.401 -0.01 -0.06 0.02 0.0049
H -2.830 4.623 -1.916 0.02 -0.04 -0.04 0.0060
H 0.402 4.843 -0.351 0.03 -0.04 0.02 0.0059
H -0.480 4.866 -1.891 -0.01 -0.04 -0.04 0.0049
H 0.690 2.509 -0.518 -0.05 0.07 0.02 0.0048
H -0.117 2.532 -2.090 -0.04 0.06 0.01 0.0062
H -0.567 2.104 1.453 0.02 0.06 0.00 0.0061
H -2.338 1.941 1.348 -0.02 0.03 0.00 0.0050
H -0.765 4.448 1.664 0.04 -0.04 0.01 0.0048
H -2.533 4.276 1.653 -0.02 -0.05 0.00 0.0057
```
Positions in Å, forces in eV/Å.

- relative energy (zero: lowest compared OMol25 entry of this formula, charge and spin) (kJ/mol) = 5.25
- Kohn-Sham gap (alpha / beta) (eV) = 9.12 / 4.60
- total charge = +1
- lowest unoccupied orbital energy (alpha / beta) (eV) = -2.36 / -6.47
- spin multiplicity = 3

----------

## 1
ORCA calculation (ωB97M-V with the def2-TZVPD basis set) on a structure of composition C4H13N3.

Each line ends with the Löwdin charge.
~~~

The duration may be from a minimum of two weeks to a maximum of one academic term. It may be a research or teaching project.

Virtual Residency Mobility

The aim of this project is to contribute to the mobility and exchange of professors, in a virtual manner, so that, within the framework of Internationalization at Home, it has an impact on the development of skills derived from the international experience of both professors and students.

Virtual mobility can develop very simple and brief activities, such as a master class, and other more complex activities that can last up to a full semester. Through these collaborative activities, professors can build a network of contacts that can lead to the development of research projects and articles.

The universities with which we most frequently collaborate to develop virtual mobility are those that are part of our international networks (RIU- Regnum Christi International Universities and The Hague Network).

How do I start? Here are some notes on concepts, methodology and specific aims. Documentspresentation and video .

The different calls for applications are published in the section Opportunities

What are the requirements to participate in the mobility program?

  • There must be some kind of contractual relationship between the participant and the UFV.
  • Authorization from the Dean of the Faculty or Head of Department.
  • Proficiency in the language in which the classes/seminars/training/research will be given (normally English minimum level B1 in the case of training mobilities and a C1 level in the case of teaching activities).

For long residencies , each case will be examined individually by the Mobility Committee taking into consideration the project and the budget presented in the report.

For virtual mobility , the application will be governed by the requirements of each call.

Note: The “Call for Applications for Short-Residencies Teacher/PAS Mobility” for the Erasmus KA103 and KA107 projects of the Universidad Francisco de Vitoria are co-funded by the Erasmus+ program of the European Union. The contents of this publication are the sole responsibility of the Universidad Francisco de Vitoria and neither the European Commission nor the Spanish Service for the Internationalization of Education (SEPIE) are responsible for any use that may be made of the information contained therein.